Constructive Criticism: "When you burn the village to save it once, people come back. When you take out part of the village, rebuild it, and then napalm it over the course of a bitterly public, year-long firefight, people leave...With all due respect to the NHL’s more fan-friendly policies, Chairman Mao seems to forget that you can’t make a Great Leap Forward when your foundation’s sagging."
Sadly enough that is a hell of an article. I have been envolved with hockey since I was 5 years old. There is nothing that I love more than the smell of the ice and the sounds of the game. Since moving down south I have realized many facts about the NHL and hockey in general. People dont care. Why not shell out some money and put hockey on a real channel that people can watch, rather than the outdoor network. Where are the marketing genuises that have catapuled the NFL and MLB into profitable enterprises. Bring me Mark Cuban, because at the very least he has the ability to creatively think. Cuban buying the Penguins may be the best thing to happen to the NHL in years. We need passionate owners not crooks like the adelphia brothers. Gary Bettman has got to go. He is so complacent and unable to effect the game positively. Instead of collecting money, why not invest that into earning new fans. I feel very strongly that if someone were to attend a game with an educated fan, there is nothing not to love. Hockey is a very expensive sport to play. Between the ice time, the travel (thanks mom and dad) and the equipment, it is an investment. You can't go to a free field and throw a ball around. Why not have NHL teams get involved with teaching kids the sport, having equipment swap events before games, and take an active role in cultivating new fans. As a former goaltender, I think making the nets bigger is a travesty! All that will do is destroy hockey history and make the incredible records set null and void. I think that it would be beneficial to make all the rinks olympic size. Although you would have to forfit seats (and therefore money) you would really be able to see guys wheel and deal, make things happen, most likely increase scoreing, and keep the speed of the game up. Watching Jagr with the puck during a 4-4 is spectacular. A larger ice surface would allow those moments to happen all the time. I may sound like i am anti-new NHL but that is the furthest from the case. I am a lifelong NY Ranger fan. I bought the center ice pkg so that i can watch my beloved team. I try and get my friends into it (i feel like i am the NHL's own grass roots campaign) but I need help from the guys at the top. Stop messing with the nets, the obstruction calls, and shrinking the goalies pads. Let then game be and start putting some effort into your job (and im mean you Bettman)!
posted by NYRBeeker16 at 12:52 PM on January 23, 2007
Great article. A passioned plea for some kind of sanity. I don't think there was a point where I disagreed once (well, except for soliciting fan advice for equipment, video review and injuries). The NHL sure does like to crap on it's existing fan base as much as possible. And it really needs to scrap the alignment and schedule it currently employs. Just a bad idea, as it turned out. We need to keep the new cities constantly hosting (and being hosted by) the old established teams. The passion in NY, Toronto, Montreal, Colorado, Dallas, Edmonton (especially Edmonton) can be contagious. Garf - you can't give up hockey. Stop playing.
posted by WeedyMcSmokey at 01:08 PM on January 23, 2007
Agree with Beeker about the size of the nets -- I want to see more scoring chances, not higher shooting percentages. I also agree with the general point of the article that the NHL (esp. under Bettman) has spent most of its energy and creativity chasing a mythical fan base that it doesn't have, at the expense of the one they do have. Of course, all pro sports leagues do this, but none to the same extent. And in the NHL's case some of the results have been pretty crazy. However, I don't get the general sense of disillusionment about the "state of the game." I'm watching more NHL hockey than ever. Maybe it's because I live in a non-NHL city, so high ticket prices don't concern me. There's a truckload of hockey on TV, and I just have regular cable. I'm enjoying the "new NHL," still better than the "old NHL," although I liked the old NHL just fine. The re-emergence of a trapping strategy neither surprises nor alarms me. People in the US don't care much about hockey? So it has always been. I'm not losing any sleep over it.
posted by Amateur at 01:18 PM on January 23, 2007
I want to see more scoring chances, not higher shooting percentages. Thirded. How is that so difficult to figure out?
posted by yerfatma at 02:13 PM on January 23, 2007
********
(1)
A geometry-optimized Li3VBPO7 structure. Source: Materials Project, functional GGA+U.

Geometry as POSCAR:
```
Li3VBPO7
1.0
5.0581 0.0000 0.0000
0.0000 6.4127 0.0000
-0.8254 0.0000 8.4451
Li V B P O
6 2 2 2 14
Cartesian
1.1583 1.6032 0.7802
0.6585 0.0256 6.4767
0.6585 3.1808 6.4767
3.5742 3.2319 1.9684
3.5742 6.3871 1.9684
3.0744 4.8095 7.6649
0.7960 4.8095 2.7310
3.4367 1.6032 5.7141
1.4105 4.8095 0.3566
2.8222 1.6032 8.0886
1.0095 1.6032 3.5277
3.2233 4.8095 4.9174
0.0703 4.8095 0.7419
0.2320 1.6032 4.8604
0.6156 0.4004 2.6148
0.6156 2.8059 2.6148
1.0730 4.8095 7.5395
1.7082 4.8095 4.6206
2.2958 4.8095 1.4750
1.9369 1.6032 6.9702
2.5246 1.6032 3.8245
3.1597 1.6032 0.9056
3.6171 3.6067 5.8303
3.6171 6.0123 5.8303
4.0007 4.8095 3.5847
4.1625 1.6032 7.7032
```

symmetry: No. 11
formation energy from the elements: -2655.0 meV/atom
size of the total moment: 0.15 μB/atom

---

(2)
A geometry-optimized Li2VBPO7 structure. Source: Materials Project, functional GGA+U.

Geometry as POSCAR:
```
Li2VBPO7
1.0
4.4017 -4.3291 0.6922
7.3866 7.4324 -0.4885
-3.7526 -2.3677 9.0523
Li O B P V
8 28 4 4 4
Cartesian
4.8113 1.8342 7.3354
-0.8589 0.0624 7.2684
6.9178 2.6175 1.6763
2.8343 3.7786 7.0245
8.8949 0.6732 1.9872
3.2247 -1.0986 1.9210
5.2013 -3.0430 2.2320
1.1180 -1.8818 7.5792
1.6926 -4.1252 5.2532
3.1461 -0.7554 6.1515
8.9700 2.7035 1.6841
5.3861 -0.4092 5.0079
0.5432 -0.8171 5.3726
5.8947 0.6480 8.3846
3.1643 3.1897 2.8327
1.1961 -2.2248 3.3486
4.2363 2.8986 5.1286
4.8374 3.8951 7.5370
2.2015 -3.0680 8.6290
5.2769 -1.0127 1.9286
5.8344 3.8037 0.6271
2.7590 1.7485 7.3275
6.8917 0.5566 1.4749
3.7992 -2.1632 4.1276
6.8386 2.9598 5.9077
2.1411 0.0875 0.8715
3.1981 -3.1596 1.7196
7.4929 1.5530 3.8833
4.8724 -2.4533 6.4230
-0.5303 -0.5270 3.0773
1.1444 0.1791 7.7806
6.3430 4.8610 4.0039
-0.9345 -1.9680 7.5718
8.5649 1.2621 6.1791
2.6501 1.1448 4.2471
4.8906 1.4919 3.1043
9.7252 3.3007 0.6185
2.0039 1.1511 8.3932
6.0327 -0.4148 0.8623
-1.6899 -2.5656 8.6380
8.0041 2.2740 5.1405
0.0312 -1.5382 4.1158
4.3109 -1.4420 5.3846
3.7251 2.1778 3.8712
2.5004 -3.5900 3.4630
6.1928 0.1253 3.2188
5.5354 4.3260 5.7929
1.8420 0.6096 6.0372
```

formation energy from the elements: -2617.8 meV/atom
size of the total moment: 0.00 μB/atom

---

(3)
A geometry-optimized RbLi2V2B3O9 structure. Source: Materials Project, functional GGA+U.

Geometry as POSCAR:
```
RbLi2V2B3O9
1.0
6.4642 0.0000 0.0000
0.0000 5.1237 0.0000
-0.3307 0.0000 13.1160
Rb Li V B O
2 4 4 6 18
Cartesian
-0.0827 1.0523 3.2790
-0.2480 4.0714 9.8370
3.0897 0.8783 4.7785
2.9244 4.2454 11.3365
3.2091 0.8783 1.7794
3.0438 4.2454 8.3374
1.3405 1.6406 7.3764
1.5059 3.4831 0.8184
4.6277 1.6406 12.2975
4.7930 3.4831 5.7396
0.9685 0.9152 12.5488
1.1339 4.2085 5.9909
2.9841 1.6967 9.8370
3.1494 3.4270 3.2790
4.9996 0.9152 7.1251
5.1650 4.2085 0.5671
0.0142 1.5284 11.7511
0.1796 3.5953 5.1931
1.4147 0.4361 5.8380
1.2493 4.6876 12.3960
1.9698 1.6358 0.4139
1.8044 3.4879 6.9719
2.3949 0.9260 8.8142
2.5603 4.1977 2.2562
********
There was a time when hockey,like baseball,could have been considered a "working man's sport". Here in the Big D,now, ticket prices at the AA, even nosebleed are stratospheric. People love the Stars and the fan base seems to have plenty of ready cash. However they don't sellout like they used to.This is partly a legacy of the strike,and also the Stars are not doing all that well. The NHL should look hard at the product it is offering for the price.Otherwise it could find itself in a few years with several "Pittsburghs".
posted by sickleguy at 04:14 PM on January 23, 2007
Surprised none of the sports leagues with weaker attendances haven't embraced the priceline model for ticket sales, or some other reverse auction- you tell the stadium 'I'll pay $X for two tickets on the 10th', and if they haven't sold them for >$X the day before the game, they call you and tell you the tickets are still available for $X. If for some reason you pass, they call the next person (who presumably bid $X-1), etc. Ensure a full stadium without necessarily having to drop prices all that much. (Alternately, surprised more new stadiums haven't embraced the Cameron/Fenway model- keep the stadium small so that there is always a shortage of tickets, never an empty seat, and hence they can charge pretty much whatever they damn well please.)
posted by tieguy at 04:36 PM on January 23, 2007
As a kid growing up in Chicago, I used to be a big Blackhawks fan. Now I have become apathetic. Bill Wirtz is to blame for my indifference. As long as he owns the Blackhawks, I feel I will remain this way. I also know that I am not alone; there are many others in Chicago who feel like I do. How do you fix that?
posted by danjel at 04:56 PM on January 23, 2007
danjel, Here's an idea.
posted by chicobangs at 05:15 PM on January 23, 2007
laughing my head off! nice chicobangs:P
posted by bavarianmotorworker at 05:37 PM on January 23, 2007
chicobangs, hmmmmmmmmm..............
posted by danjel at 05:43 PM on January 23, 2007
For the record, and just to be sure we're clear: I'm not advocating murdering anyone. The Blackhawks finally getting on free TV won't do you any good if you're doing 25 to life. There aren't many hockey fans in maximum security, unless by some luck you wind up in a cell with Mike Danton.
posted by chicobangs at 10:19 PM on January 23, 2007
Bettman is terrible. He severely crippled the union, which was his primary objective, now get someone in there with some charisma and energy. Bettman doesn't make anyone want to like anything. Does anyone really support bigger goals? Why does this always keep coming up? To hell with bigger goals, if you must do something wouldn't the simple answer just be SMALLER EQUIPMENT. Make a goalie move, like they used to in the good ol' days. Remember kick saves? And I've argued in the past to keep the schedule the way it currently is to cultivate more local rivalries. (However, I do absolutely agree that the Orignal 6 have to see more of each other.) My personal feeling is, I can't get all that excited to see the Flyers play the Kings, but a regular season Flyers-Rangers (or any of the old Patrick Division rivals) game has me all tingly all day, almost like a playoff game. Even when the Flyers suck toes like they do right now. But, bottom line, I absolutely agree with the general premise of the article. Maybe hockey just needs to take a step back and admit it will never be the NFL. Stop with all the bullshit and cater to the hardcore fans that you already have. They're far and away the most loyal fans in North American sports. but even they're getting tired of the bullshit.
# 1
# MgNb2In2O8, optimized geometry, DFT PBE
# * energy above the most stable polymorph in this dataset: 23 meV per atom
# * energy relative to the elements: -2.436 eV/atom
# * volume: 13.937 A^3/atom
data_MgNb2In2O8
_cell_length_a 5.286
_cell_length_b 6.419
_cell_length_c 5.347
_cell_angle_alpha 90.00
_cell_angle_beta 92.99
_cell_angle_gamma 90.00
_space_group_name_H-M_alt 'P 1 2 1'
_space_group_IT_number 3
loop_
_space_group_symop_operation_xyz
'x,y,z'
'-x,y,-z'
loop_
_atom_site_label
_atom_site_fract_x
_atom_site_fract_y
_atom_site_fract_z
Mg1 0.000 0.000 0.000
Nb1 0.000 0.886 0.500
Nb2 0.500 0.255 0.500
In1 0.000 0.432 0.000
In2 0.500 0.718 0.000
O1 0.157 0.729 0.238
O2 0.192 0.136 0.333
O3 0.286 0.942 0.764
O4 0.400 0.443 0.741

=====

# 2
# MgNb2In2O8, optimized geometry, DFT PBE
# * energy above the most stable polymorph in this dataset: 1 meV per atom
# * energy relative to the elements: -2.458 eV/atom
# * volume: 14.271 A^3/atom
data_MgNb2In2O8
_cell_length_a 5.328
_cell_length_b 6.273
_cell_length_c 5.553
_cell_angle_alpha 90.00
_cell_angle_beta 91.70
_cell_angle_gamma 90.00
_space_group_name_H-M_alt 'P 1 2 1'
_space_group_IT_number 3
loop_
_space_group_symop_operation_xyz
'x,y,z'
'-x,y,-z'
loop_
_atom_site_label
_atom_site_fract_x
_atom_site_fract_y
_atom_site_fract_z
Mg1 0.000 0.000 0.000
Nb1 0.000 0.543 0.000
Nb2 0.500 0.222 0.000
In1 0.000 0.063 0.500
In2 0.500 0.682 0.500
O1 0.104 0.754 0.228
O2 0.181 0.234 0.212
O3 0.306 0.037 0.776
O4 0.312 0.469 0.839

=====

# 3
# MgNb2In2O8, optimized geometry, DFT PBE
# * energy above the most stable polymorph in this dataset: 0 meV per atom
# * energy relative to the elements: -2.459 eV/atom
# * volume: 14.723 A^3/atom
data_MgNb2In2O8
_cell_length_a 5.336
_cell_length_b 5.388
_cell_length_c 6.754
_cell_angle_alpha 89.35
_cell_angle_beta 86.40
_cell_angle_gamma 80.96
_space_group_name_H-M_alt 'P 1'
_space_group_IT_number 1
loop_
_space_group_symop_operation_xyz
'x,y,z'
loop_
_atom_site_label
_atom_site_fract_x
_atom_site_fract_y
_atom_site_fract_z
Mg1 0.000 0.000 0.000
Nb1 0.310 0.750 0.531
Nb2 0.361 0.231 0.239
In1 0.745 0.592 0.035
In2 0.793 0.275 0.566
O1 0.046 0.962 0.696
O2 0.115 0.454 0.463
O3 0.128 0.324 0.044
O4 0.202 0.910 0.256
O5 0.521 0.564 0.716
O6 0.534 0.018 0.482
O7 0.569 0.495 0.337
O8 0.643 0.174 0.048

=====

# 4
# NdMgIn, optimized geometry, DFT PBE
# * energy relative to the elements: -0.411 eV/atom
# * volume: 27.482 A^3/atom
data_NdMgIn
_cell_length_a 7.7556
_cell_length_b 7.7556
_cell_length_c 4.7482
_cell_angle_alpha 90.00
_cell_angle_beta 90.00
_cell_angle_gamma 120.00
_space_group_name_H-M_alt 'P -6 2 m'
_space_group_IT_number 189
_space_group_name_Hall 'P -6 -2'
loop_
_atom_site_label
_atom_site_fract_x
_atom_site_fract_y
_atom_site_fract_z
Nd1 0.0000 0.5726 0.0000
Mg1 0.0000 0.2420 0.5000
In1 0.0000 0.0000 0.0000
In2 0.3333 0.6667 0.5000

=====

Repeat the fourth record exactly.
# NdMgIn, optimized geometry, DFT PBE
posted by SummersEve at 06:16 AM on January 24, 2007
For the record, and just to be sure we're clear: I'm not advocating murdering anyone. Don't worry, I clearly understood the humor in your comment. If I have to go to jail, it won't be for Dollar Bill.
posted by danjel at 07:22 AM on January 24, 2007
I like to consider myself an "avid" hockey fan. I can't afford going to a lot of games, because my wife won't let me put another mortgage on the house. I find it sad that I have to take out a small loan just to go to a game. That is my number one bitch -- the all-mighty dollar. The NHL is alienating its main fan-base, us! A large percentage of the seats in Joe Louis are bought up by businesses to cater to their customers. They have the money to do that. I don't. I'm tired of going to a game and being surrounded by "corporate seats." How can a working man like myself let loose and go crazy at one of the few games that I can afford, when there are snooty uninterested stiffs all around me?
posted by wingnut4life at 05:25 PM on January 24, 2007
For the record, and just to be sure we're clear: I'm not advocating murdering anyone. Of course not...we just need it to look like an accident.
posted by willthrill72 at 09:03 PM on January 24, 2007
I'm not sure how others feel, but I'm a die-hard fan who is losing interest. Alot of that has to do with the gross mismanagement and misguided corporate goals of my favorite team, but alot of it has to do with my frustration with the league as a whole. This frustation is turning to apathy, and that scares me.